According to the National Library of Medicine, “Despite a government-mandated curriculum, only 56% of high schools offer CPR and AED training.” In some schools in the United States, like Redwood, during Physical Education (PE) classes, students are taught emergency training and fitness skills. At Redwood, the emergency training unit in PE includes CPR, self-defense, and lifeguard training. The emergency training unit in PE is crucial during high school because it helps save lives and prepares students to react in life-threatening situations. Students can get cardiopulmonary resuscitation (CPR) certified through the Redwood PE curriculum and learn self-defense and lifeguard training. The emergency training curriculum is vital because it teaches students how to save lives and should be taught in schools worldwide.
“Teaching school-age children how to perform CPR and use AEDs is a reliable and sustainable method for increasing rates of bystander CPR and survival,” according to the PubMed Center. Teaching high school students CPR training can teach them to help others in life-or-death situations. According to the American Heart Association, “If performed immediately, CPR can double or triple the chance of survival from an out-of-hospital cardiac arrest.” Learning CPR in school is vital to help save lives.
Like CPR, self-defense can help prepare students for emergencies and is critical to learn. Self-defense training can help students be better prepared to defend themselves when in danger. According to the Grandview Chronicle, less than 1 percent of the population knows how to do self-defense. Self-defense classes can empower students and help provide them with the skills and confidence required to protect themselves in dangerous situations.
Lifeguarding is a necessary skill that saves lives, especially in communities near the coast like Marin. According to reports by the International Lifesaving Federation, certified lifesavers and lifeguards rescue over 1 million people in danger yearly. With students learning these skills, even more lives can be saved.
********
[1]
Computed, not measured: a geometry-optimized HfScCdGa structure at the PBE level of DFT.

The space group is F-43m (No. 216) and the conventional cell measures 6.840, 6.840 and 6.840 Å, with angles of 90.00, 90.00 and 90.00 degrees. The asymmetric unit holds Hf at (0.000, 0.000, 0.000), Sc at (0.000, 0.000, 0.500), Cd at (0.250, 0.250, 0.250) and Ga at (0.250, 0.250, 0.750).

As for the mass density: 8.418 Mg/m³. The calculation puts the formation energy at -0.25 eV/atom.

***

[2]
Computed, not measured: a geometry-optimized CdBW structure at the PBE level of DFT.

The space group is Cm (No. 8) and the conventional cell measures 19.329, 3.006 and 3.043 Å, with angles of 90.00, 90.09 and 90.00 degrees. The asymmetric unit holds Cd at (0.000, 0.000, 0.000), Cd at (0.117, 0.500, 0.500), B at (0.234, 0.500, 0.995), B at (0.332, 0.500, 0.998), W at (0.259, 0.000, 0.495) and W at (0.389, 0.000, 0.498).

As for the mass density: 11.535 Mg/m³. The energy relative to the lowest polymorph listed for this composition is 234 meV per atom. The calculation puts the formation energy at 0.23 eV/atom.

***

[3]
Computed, not measured: a geometry-optimized V3PtRh structure at the PBE level of DFT.

The space group is P2_1/m (No. 11) and the conventional cell measures 5.109, 6.359 and 5.181 Å, with angles of 90.00, 117.89 and 90.00 degrees. The asymmetric unit holds V at (0.146, 0.250, 0.340), V at (0.335, 0.568, 0.182), Pt at (0.160, 0.250, 0.827) and Rh at (0.331, 0.750, 0.667).

As for the mass density: 10.063 Mg/m³. The energy relative to the lowest polymorph listed for this composition is 0 meV per atom. The calculation puts the formation energy at -0.13 eV/atom.

***

[4]
Computed, not measured: a geometry-optimized LaHo2Th2 structure at the PBE level of DFT.

The space group is P-3m1 (No. 164) and the conventional cell measures 3.5846, 3.5846 and 14.6793 Å, with angles of 90.00, 90.00 and 120.00 degrees. The asymmetric unit holds La at (0.0000, 0.0000, 0.0000), Ho at (0.3333, 0.6667, 0.7977) and Th at (0.3333, 0.6667, 0.4014).

As for the mass density: 9.483 Mg/m³. The energy relative to the lowest polymorph listed for this composition is 17 meV per atom. The calculation puts the formation energy at 0.04 eV/atom.

***

[5]
Computed, not measured: a geometry-optimized Mg4GaIr structure at the PBE level of DFT.

The space group is I4/mcm (No. 140) and the conventional cell measures 6.643, 6.643 and 10.706 Å, with angles of 90.00, 90.00 and 90.00 degrees. The asymmetric unit holds Mg at (0.168, 0.332, 0.139), Ga at (0.000, 0.000, 0.000) and Ir at (0.000, 0.000, 0.250).

As for the mass density: 5.050 Mg/m³. The calculation puts the formation energy at -0.26 eV/atom.

***

[6]
Computed, not measured: a geometry-optimized SrLaTe2 structure at the PBE level of DFT.
********

While skills like self-defense, lifeguarding and CPR training are important to learn, some people don’t think they should be taught in PE. For CPR, expensive equipment is necessary. “Schools are holding back teaching CPR in school because of the lack of funding which will lead to a lack of qualified instructors and the supplies necessary to teach CPR,” according to CPR Educators Incorporated. If schools are not receiving the funding they need, they can contact local CPR providers to learn what options they have to teach their students. According to the Krav Maga Institute, as students learn self defense techniques there are times when they can use them violently. While some students may use these skills violently, these are essential skills and those students could learn these same skills online anyway. Self-defense is a vital course to help save lives.
/*
[1]
{
  "formula": "Ba2ZrRe",
  "functional": "GGA-PBE",
  "state": "optimized geometry",
  "e_above_lowest_polymorph_mev_per_atom": 753,
  "formation_energy_ev_per_atom": 1.205,
  "lattice_angstrom": [[-4.1242, 3.9613, 0.6716], [-2.0361, -1.8444, -1.6246], [-2.9996, -3.8156, 4.0860]],
  "species": ["Ba", "Ba", "Re", "Zr"],
  "fractional_positions": [[0.0000, 0.0873, 0.0077], [0.0000, 0.4127, 0.4923], [0.5000, 0.2500, 0.2500], [0.5000, 0.7500, 0.7500]]
}

[2]
{
  "formula": "PS2I",
  "functional": "GGA-PBE",
  "state": "optimized geometry",
  "e_above_lowest_polymorph_mev_per_atom": 1002,
  "formation_energy_uncorrected_kj_per_mol_atoms": 103,
  "lattice_angstrom": [[1.3348, -1.0123, 4.4887], [-1.7408, 2.5650, 3.6531], [-3.1287, -1.9796, 3.0409]],
  "species": ["I", "P", "S", "S"],
  "fractional_positions": [[0.5000, 0.5000, 0.5000], [0.0000, 0.0000, 0.0000], [0.2500, 0.2500, 0.2500], [0.7500, 0.7500, 0.7500]]
}

[3]
{
  "formula": "ZrNi6As2",
  "functional": "GGA-PBE",
  "state": "optimized geometry",
  "formation_energy_ev_per_atom": -0.233,
  "lattice_angstrom": [[-1.3750, -2.3237, 2.9364], [3.3689, -4.8573, 0.4324], [3.2312, 0.8616, 4.8936]],
  "species": ["Zr", "Ni", "Ni", "Ni", "Ni", "Ni", "Ni", "As", "As"],
  "fractional_positions": [[0.0000, 0.0000, 0.0000], [0.1880, 0.1313, 0.4930], [0.8120, 0.8687, 0.5070], [0.8120, 0.5070, 0.8687], [0.5000, 0.7427, 0.2573], [0.5000, 0.2573, 0.7427], [0.1880, 0.4930, 0.1313], [0.3174, 0.6823, 0.6823], [0.6826, 0.3177, 0.3177]]
}

[4]
{
  "formula": "Zn3GePt",
  "functional": "GGA-PBE",
  "state": "optimized geometry",
  "e_above_lowest_polymorph_mev_per_atom": 393,
  "formation_energy_ev_per_atom": 0.610,
  "lattice_angstrom": [[-4.4388, 0.3684, -1.3352], [-0.7430, -4.4162, 1.2516], [-1.1689, 1.4081, 4.2746]],
  "species": ["Ge", "Zn", "Zn", "Zn", "Pt"],
  "fractional_positions": [[0.0000, 0.0000, 0.0000], [0.0000, 0.5000, 0.0000], [0.0000, 0.0000, 0.5000], [0.5000, 0.0000, 0.0000], [0.5000, 0.5000, 0.5000]]
}

[5]
{
  "formula": "CdTeW2",
  "functional": "GGA-PBE",
  "state": "optimized geometry",
  "e_above_lowest_polymorph_mev_per_atom": 336,
  "formation_energy_uncorrected_kj_per_mol_atoms": 74,
  "lattice_angstrom": [[-1.2434, -2.8129, -4.2124], [-0.3501, -4.8832, -1.7985], [-4.8584, -1.4606, 0.5452]],
  "species": ["Te", "W", "W", "Cd"],
  "fractional_positions": [[0.7358, 0.7358, 0.7807], [0.9703, 0.9703, 0.0067], [0.2774, 0.2774, 0.2523], [0.5165, 0.5165, 0.4604]]
}

[6]
{
  "formula": "YZnCl2",
  "functional": "GGA-PBE",
  "state": "optimized geometry",
  "e_above_lowest_polymorph_mev_per_atom": 291,
  "formation_energy_uncorrected_kj_per_mol_atoms": -89,
  "lattice_angstrom": [[3.7355, 0.0000, 0.0000], [0.0000, 5.3214, 0.0000], [0.0000, 0.0000, 4.3774]],
  "species": ["Y", "Zn", "Cl", "Cl"],
  "fractional_positions": [[0.5000, 0.0000, 0.5000], [0.0000, 0.5000, 0.5000], [0.0000, 0.0000, 0.0000], [0.5000, 0.5000, 0.0000]]
}

[7]
{
  "formula": "Cu12S3F5",
  "functional": "GGA-PBE",
*/
== Here the page continues ==
Learning emergency training in PE helps educate students on how to better protect themselves and save lives. Teaching these skills in school provides a safe space for students to learn and practice these skills so they can use them in emergencies.